When you’re ready to Start Creating, click here to schedule a call with us at your convenience. This brief call will help us learn more about you and your project vision and address your questions and concerns.
Average Time: 20-30 minutes
Now, it’s time to put the finishing touches on your plans and budget. During this critical phase, we’ll reach out monthly to answer questions and provide support. If you decide to partner with a contractor, site planner, or other professional, we’re happy to schedule a group call to include them in this important planning stage.
If you are not partnering with a contractor, we highly recommend that you review local codes and establish electrical and water connections at this point in the process.
Average Time: 30-90 Days
Once you have a clear vision, plan, and budget for your home, connect with our team to discuss your desired final product. We’ll walk you through our contract, discuss deposit details, and answer any final questions you might have before signing and submitting payment. Any financing arrangements for your build must be established prior to submitting an initial deposit.
Once the signed contract and deposit are received, Sculptorhouse will initiate the manufacturing process for your kit home. You will receive a confirmation email that includes an assembly manual for the home and our architectural drawings with specifications for constructing the foundation.
Average Time: 1 Week
Building has officially begun! It’s time to prepare the foundation for your home.
The architectural plans you’ve received should help you envision your home fitting neatly into place once it arrives. As always, we’re happy to address any questions your build team might have about this or any phase of the building process.
Average Time: 1-6 Weeks
Your foundation is built, your kit is ready to ship, and you can’t wait to get the walls up! Once you submit your final payment, you’ll receive a confirmation email and your home will be on its way!
Average Time: 1 Week
Your home will arrive approximately 8 weeks after your down payment is made. Most customers receive their kit shortly after their foundation is ready and final payment is made, preventing any need for on-site storage during the build. Please note that this timeframe may vary based on the availability of materials.
As you wait for your kit, we will stay in close contact with you, sending updates from our manufacturer as soon as we have them. We will never leave you in the dark and strive to prevent any unnecessary surprises.
Average Time: Approximately 8 weeks after down payment, depending upon market availability.
It’s finally time to make your dream a reality! Using your assembly manual, assemble the building panels, construct the loft, install roof beams and panels, and insert your windows and doors. This process should be faster than traditional construction, saving you time and labor costs.
We’re here for you and your team throughout the building process. Contact us with any questions and please share your feedback so we can continue to improve our manuals and processes.
Average Time: 1-2 Weeks
Once the main structure is assembled, it’s time to install the siding and roof. Our Georgia Pacific Ply-Bead siding comes unpainted – ready for your personal touch. Paired with the timeless appeal of our 5V galvanized metal roofing panels, your home will really start to take shape.
After (y)our kit is complete, it’s time to , install electrical outlets and fixtures, plumbing, and interior walls and wallboard. Follow up with cabinetry, paint, flooring, and furnishings. Add a few of your favorite things, and sit back to admire your hard work!
## Calculated crystals that have nothing to do with the entry
<<<
Starting from a cell relaxed with PBE+U, the X-ray diffraction stick pattern of Li5Ti3V2P6O24 was computed for Cu Kα.

```
40
Lattice="8.559 0.000 0.000 4.001 7.659 0.000 4.060 2.526 7.216" Properties=species:S:1:pos:R:3 pbc="T T T"
Li 0.000 0.000 0.000
Li 5.062 4.820 6.201
Li 6.308 7.648 3.930
Li 4.895 3.742 3.740
Li 11.104 5.839 5.926
Ti 4.020 4.032 0.197
Ti 8.910 7.080 2.333
Ti 8.362 1.536 3.819
V 6.526 5.573 1.262
V 10.758 3.047 4.895
P 2.310 1.454 1.637
P 9.188 8.832 5.184
P 7.768 4.770 4.531
P 6.584 1.985 0.982
P 13.529 7.849 6.698
P 12.043 5.897 3.066
O 1.262 1.275 0.567
O 4.450 5.151 2.060
O 4.315 2.468 5.204
O 3.330 2.550 1.299
O 6.300 4.473 4.783
O 6.937 7.679 1.894
O 9.173 8.271 6.664
O 8.517 7.881 4.172
O 8.398 5.636 5.654
O 7.822 5.499 3.129
O 6.049 3.442 0.681
O 10.647 9.086 4.813
O 5.472 1.046 1.454
O 8.668 3.494 4.449
O 8.599 6.007 0.586
O 7.643 2.108 2.083
O 10.694 6.256 2.452
O 11.216 3.975 6.855
O 13.679 8.843 5.479
O 12.830 6.565 6.295
O 11.816 4.903 4.247
O 12.781 7.195 3.480
O 10.315 1.845 3.064
O 14.990 7.601 7.147
```

Largest 6 diffraction maxima, in order of rising 2θ, 10 to 80 degrees two-theta:
- 2θ = 20.0°, intensity 30.7, (1 0 -1)
- 2θ = 23.6°, intensity 42.6, (0 1 2)
- 2θ = 23.9°, intensity 100.0, (1 2 0)
- 2θ = 32.5°, intensity 33.6, (1 2 3)
- 2θ = 32.9°, intensity 29.9, (3 1 2)
- 2θ = 34.9°, intensity 31.8, (-2 1 1)

* * * * *

# 1
The following is a theoretical powder diffraction line list of CsSr3. It was derived from DFT lattice parameters and positions (PBE), using Cu Kα (λ = 1.5418 Å).
Intensities are scaled so that the largest is 1000.

Structural model:
abc: 7.0688 7.0688 7.0688
angles: 60.00 60.00 60.00
Atoms (fractional coordinates):
Cs 0.0000 0.0000 0.0000
Sr 0.2500 0.2500 0.2500
Sr 0.5000 0.5000 0.5000
Sr 0.7500 0.7500 0.7500

Peak list (6 most intense, 10 to 90 degrees two-theta, by angle)
- 25.20°, I 1000
- 35.93°, I 197
- 44.39°, I 429
- 51.73°, I 136
- 58.38°, I 189
- 70.49°, I 217

=====

# 2
The following is a theoretical powder diffraction line list of SiO2. It was derived from DFT lattice parameters and positions (PBE), using Cu Kα (λ = 1.5418 Å).
Intensities are scaled so that the largest is 1000.

Structural model:
abc: 5.0682 5.0682 5.0682
angles: 127.67 79.69 124.59
Atoms (fractional coordinates):
Si 0.2500 0.2500 0.0000
Si 0.7500 0.7500 0.0000
O 0.1058 0.1913 0.2971
O 0.3942 0.6913 0.0854
O 0.6058 0.3087 0.9146
O 0.8942 0.8087 0.7029

Peak list (6 most intense, 10 to 90 degrees two-theta, by angle)
- 22.92°, I 1000
- 36.05°, I 233
- 45.01°, I 81
- 56.65°, I 71
- 56.78°, I 80
- 61.84°, I 69

=====

# 3
The following is a theoretical powder diffraction line list of LaMgAl7Fe2. It was derived from DFT lattice parameters and positions (PBE), using Cu Kα (λ = 1.5418 Å).
Intensities are scaled so that the largest is 1000.

Structural model:
abc: 12.9846 14.4781 4.0204
angles: 90.00 90.00 90.00
Atoms (fractional coordinates):
La 0.1604 0.1808 0.0000
La 0.3396 0.6808 0.0000
La 0.6604 0.3192 0.0000
>>>
## So much for the calculated crystals
Want to add a deck or patio? Maybe a front walk, flowerbed, or some trees? This is your dream space – the exterior should be as magnificent as the interior.
Average Time: 6-11 Weeks
We love to see dream projects become a reality! Share your experience with our social media community or email us your photos and story for a feature! We always ask permission before sharing content or tagging individuals in posts. We also welcome guest bloggers to help fill our journal with diverse perspectives and fresh ideas.
Average Time: 5-30 Minutes